Data:
1.
{
  "formula": "BF4H16O8",
  "method": "the ωB97M-V functional and the def2-TZVPD basis",
  "elements": ["B", "F", "F", "F", "F", "O", "H", "H", "O", "H", "H", "O", "H", "H", "O", "H", "H", "O", "H", "H", "O", "H", "H", "O", "H", "H", "O", "H", "H"],
  "xyz": [[-6.432, 31.850, 2.230], [-6.938, 32.609, 1.208], [-6.558, 30.503, 1.982], [-5.156, 32.269, 2.405], [-7.220, 32.223, 3.334], [-8.482, 28.758, 2.134], [-7.944, 29.537, 2.096], [-9.135, 28.931, 1.441], [-7.785, 30.827, 5.491], [-8.575, 30.251, 5.331], [-7.670, 31.406, 4.746], [-5.686, 29.007, 4.391], [-5.433, 29.334, 3.546], [-6.454, 29.486, 4.526], [-9.217, 31.137, 0.649], [-9.073, 30.827, -0.249], [-8.661, 31.871, 0.673], [-4.337, 31.578, 4.993], [-4.794, 32.010, 4.277], [-4.561, 30.685, 4.895], [-3.516, 31.325, 0.644], [-4.089, 31.272, -0.122], [-3.935, 31.889, 1.280], [-5.650, 31.657, -0.996], [-6.189, 32.091, -0.373], [-6.232, 31.001, -1.426], [-5.399, 28.684, 0.025], [-6.006, 28.094, 0.479], [-5.437, 29.538, 0.415]],
  "lowdin_charge": [-1.35, 0.15, 0.15, 0.17, 0.13, -0.06, -0.04, 0.02, -0.06, 0.07, -0.02, 0.00, 0.02, -0.04, -0.01, 0.05, -0.02, -0.03, 0.00, -0.03, -0.05, -0.02, -0.01, -0.03, -0.01, 0.07, -0.04, 0.03, -0.03],
  "orbital_gap_ha": 0.3723,
  "homo_ev": -7.511,
  "relative_energy_ev": 0.508,
  "total_energy_ha": -1036.1803,
  "charge": -1
}

---

2.
{
  "formula": "BF4H18O9",
  "method": "the ωB97M-V functional and the def2-TZVPD basis",
  "elements": ["B", "F", "F", "F", "F", "O", "H", "H", "O", "H", "H", "O", "H", "H", "O", "H", "H", "O", "H", "H", "O", "H", "H", "O", "H", "H", "O", "H", "H", "O", "H", "H"],
  "xyz": [[-0.670, -0.013, 0.056], [-0.164, 0.319, 1.329], [-1.871, 0.574, -0.016], [0.179, 0.614, -0.762], [-0.612, -1.379, -0.190], [-1.568, -6.532, 1.027], [-1.177, -7.288, 1.464], [-0.839, -6.121, 0.561], [-2.372, -1.887, 4.275], [-1.861, -2.262, 3.557], [-1.804, -1.213, 4.647], [0.854, 4.925, -1.471], [0.016, 5.209, -1.104], [0.745, 3.986, -1.621], [-3.271, -0.006, -4.129], [-2.627, -0.554, -3.680], [-3.271, -0.326, -5.031], [4.366, 2.409, -3.870], [5.150, 2.653, -3.380], [4.004, 1.665, -3.389], [-4.868, 3.423, 0.794], [-4.313, 2.797, 0.329], [-5.040, 4.113, 0.154], [3.131, -3.667, -1.642], [2.792, -2.813, -1.372], [3.705, -3.935, -0.924], [3.734, -0.110, -0.149], [2.850, 0.256, -0.134], [3.929, -0.303, 0.768], [0.579, 1.670, 4.851], [-0.105, 2.278, 5.131], [0.401, 1.519, 3.922]],
  "lowdin_charge": [-1.45, 0.06, 0.16, 0.15, 0.11, -0.05, 0.02, 0.03, -0.06, 0.03, 0.02, -0.06, 0.03, 0.03, -0.05, 0.03, 0.02, -0.05, 0.03, 0.03, -0.06, 0.03, 0.02, -0.06, 0.02, 0.02, -0.05, 0.02, 0.03, -0.06, 0.03, 0.02],
  "orbital_gap_ha": 0.3968,
  "homo_ev": -8.179,
  "relative_energy_ev": 1.841,
  "total_energy_ha": -1112.5699,
  "charge": -1
}

---

3.
{
  "formula": "BF4Sn",
  "method": "the ωB97M-V functional and the def2-TZVPD basis",
  "elements": ["Sn", "B", "F", "F", "F", "F"],
  "xyz": [[-1.164, -1.657, -1.687], [0.268, 0.365, 0.356], [0.531, -0.661, 1.266], [-1.124, 0.416, 0.044], [0.641, 1.608, 0.857], [0.849, -0.072, -0.836]],
  "lowdin_charge": [1.93, -1.32, 0.13, 0.02, 0.18, 0.05],
  "orbital_gap_ha": 0.2548,
  "homo_ev": -16.178,
  "relative_energy_ev": 1.281,
  "total_energy_ha": -638.4431,
  "charge": 1
}

---

4.
{
  "formula": "BH18O7",
  "method": "the ωB97M-V functional and the def2-TZVPD basis",
  "elements": ["B", "H", "H", "H", "H", "O", "H", "H", "O", "H", "H", "O", "H", "H", "O", "H", "H", "O", "H", "H", "O", "H", "H", "O", "H", "H"],
Brief:
Please count the lines earlier on that contain the word "def2-TZVPD" and give the number alone.
Completed:
4